Mission Partnership


Resources for Partnership

“Called as Partners: Serving Together in God’s Mission” International Partnership Manual

Presbyterians yearn to join in partnership with the global church, coming together as one body in Christ. It is in the spirit of partnership with our brothers and sisters in other places that the PC(USA), through an action of the 212th General Assembly in 2000, encouraged congregations, presbyteries, synods and other church bodies to “do mission in partnership.” Presbyterian World Mission’s international partnership manual helps Presbyterians better understand “mission in partnership” and provides advice for establishing and maintaining a mission partnership.

Presbyterians Do Mission in Partnership (English)
The practice of partnership guides our whole connectional church. It guides us individually as members, officers and pastors. It guides us collectively as congregations, presbyteries, synods, General Assembly ministries and related institutions. This document paraphrases a policy statement adopted by the 215th General Assembly (2003) regarding mission in partnership.

Los presbiterianos hacemos misión en hermanamiento
La práctica del hermanamiento guía a toda nuestra iglesia conexional. Nos guía individualmente como miembros, líderes y pastores. Nos guía colectivamente en nuestras congregaciones, presbiterios, sínodos, ministerios de la Asamblea General, e instituciones vinculadas. Este documento parafrasea una declaración de política adoptada por la 215a Asamblea General (2003) sobre la misión en hermanamiento.

협력하며 협력하며 장로교인 (Presbyterians Do Mission in Partnership statement in Korean)

How to build faithful mission partnerships: A guide for pastors

Attached: molecular data.
____________
# 1
C5H11NO | ωB97M-V with the def2-TZVPD basis set

XYZ file:
```
18
Properties=species:S:1:pos:R:3:nbo_charge:R:1
O -0.84586 -0.13051 -2.49485 -0.9029
N -0.29519 1.89821 1.43946 -0.3717
C 1.28431 -1.25815 0.13940 -0.5128
C 0.83396 -2.26142 -0.94365 -0.6108
C 0.58135 0.97484 0.96689 0.1156
C 0.25085 -0.34163 0.61002 0.1038
C -1.57062 1.74248 1.44646 0.1375
H 1.78010 -1.74916 0.97044 0.3052
H 0.08946 -2.88816 -0.45745 0.2158
H 1.60235 1.31946 0.91014 0.2363
H -2.16644 2.48573 1.96451 0.2220
H -1.56116 -0.02752 -1.85836 0.4631
H -0.74842 -0.74333 0.74340 0.2179
H 1.70531 -2.75386 -1.35950 0.2459
H -0.18704 0.51611 -2.21882 0.4641
H -2.13606 0.92807 0.98412 0.1707
H 0.33460 -1.73920 -1.76020 0.2570
H 2.11240 -0.65368 -0.26358 0.2433
```

Properties
E_HOMO (spin up / spin down) = -0.553 / -0.561 Eh
total charge = +1
total energy = -326.7201 Eh
M = 101.1 g/mol
Kohn-Sham gap (spin up / spin down) = 0.333 / 0.253 Eh
LUMO energy (spin up / spin down) = -5.97 / -8.39 eV
2S+1 = 2
energy above the lowest of the compared OMol25 structures with the same formula, charge and spin = 65.3 kcal per mole
⟨S²⟩ = 0.7604

# 2
C2H8NS | ωB97M-V with the def2-TZVPD basis set

XYZ file:
```
12
Properties=species:S:1:pos:R:3:nbo_charge:R:1
S -1.48564 1.50579 -0.68228 0.0576
N -0.71079 -0.51159 1.05137 -0.7403
C -0.21884 0.25146 -0.32319 -0.1546
C 1.25451 0.53179 -0.03574 -0.6472
H 0.06248 -0.95151 1.42054 0.4227
H 1.62054 1.07150 -0.80347 0.2605
H -0.93602 2.63040 -0.05909 0.1578
H -0.49643 -0.70143 -1.51380 0.2892
H -1.03061 0.24809 1.78709 0.4521
H 1.71001 -0.45335 -0.03229 0.2326
H 1.26322 0.89202 0.91313 0.2140
H -1.54190 -1.10372 0.90475 0.4557
```

Properties
E_HOMO = -0.527 Eh
total charge = +1
total energy = -533.5908 Eh
M = 78.2 g/mol
Kohn-Sham gap = 0.388 Eh
LUMO energy = -3.77 eV
energy above the lowest of the compared OMol25 structures with the same formula, charge and spin = 56.0 kcal per mole

# 3
C3H6N2O | ωB97M-V with the def2-TZVPD basis set

XYZ file:
```
12
Properties=species:S:1:pos:R:3:nbo_charge:R:1
O 1.14540 0.20033 1.31939 -0.6914
N -1.85606 -1.10992 0.29068 -0.7365
N 1.92804 -0.20309 -1.96021 -0.3320
C 1.66108 0.38805 -1.00190 0.2541
C 1.26866 1.09312 0.24206 -0.1818
C -1.47870 -0.06438 -0.40711 -0.1232
H -2.13892 -0.98792 1.25684 0.3826
H -1.93469 -2.06774 -0.04904 0.3747
H 2.03483 1.82799 0.49850 0.2190
H 0.32194 1.60314 0.03739 0.2414
H -1.24764 -0.43184 -1.42460 0.1199
H 0.29606 -0.24774 1.19800 0.4733
```

Properties
E_HOMO = -0.338 Eh
total charge = 0
total energy = -302.5540 Eh
M = 86.1 g/mol
Kohn-Sham gap = 0.360 Eh
LUMO energy = 0.60 eV
energy above the lowest of the compared OMol25 structures with the same formula, charge and spin = 87.3 kcal per mole

# 4
C25H26N2O2 | ωB97M-V with the def2-TZVPD basis set

XYZ file:
```
55
Properties=species:S:1:pos:R:3:nbo_charge:R:1
O 0.38052 0.07133 -3.96563 -0.5315
O -1.47597 -0.36169 -2.70713 -0.6812
N -1.71135 2.30625 -0.02457 -0.3065
N 0.33765 -1.48751 -0.85154 -0.4295
____________

Purchase Called As Partners in Christ’s Service

Using a study of the Gospel of John as a framework, former mission co-worker Sherron George affirms the theological and historical basis for doing mission in partnership. Set up in eight brief chapters, this book can be used by all Reformed Christians engaged in mission with God and others. This theological and practical tool for all who engage in reinventing partnership in mission for the 21st century is ideal for study groups.

Tools for trip leaders 

Purchase Sister Churches: American Congregations and Their Partners Abroad

Janel Kragt Bakker explores the history, dynamics, challenges and opportunities of church-to-church partnerships between the global  North and the global South.

Best Practices for Mission Partnerships

Based on a framework provided by the Kenya Mission Network and the Presbyterian Church of East Africa

Our Partners, Our Friends: from Lake Erie to Ghana

A video exemplifying partnership of the Evangelical Presbyterian Church of Ghana and Lake Erie Presbytery.